Face type and psychological characteristics of a person

Face type and psychological characteristics of a person
Face type and psychological characteristics of a person

Once upon a time in school we were taught that humanity is divided into races, each of which has its own characteristic features of appearance. And when we are told that this or that person has a European type of face, we can already roughly imagine what he looks like. But appearance isn't everything. There is an interesting science called physiognomy, which claims that the type of face and the psychological characteristics of a person are closely related to each other, and provides quite convincing examples to prove it.

face type
face type

For skeptics

Some people think it's all bullshit. With all due respect to such an opinion, we hasten to note that physiognomy as a science has about three thousand years in its history. The type of face and its connection with the inner world of a person were of interest at one time to such famous thinkers and scientists of antiquity as Aristotle, Hippocrates, Cicero, Ibn Sina, Pliny the Younger and Leonardo da Vinci. In addition, a number of well-known domestic psychiatrists and physicians, including V. F. Chizh, I. A. Sikorsky, V. M. Bekhterev, note the connection of diseases and the psyche with external statisticalfeatures, including the shape of the head. And if physiognomy were pseudoscience and mystical nonsense, would it be able to withstand such a test of time?

determine the type of person
determine the type of person


A person's face, depending on its shape, is round, trapezoidal, elongated rectangular and square. Let us briefly list what this can say to a person who is well versed in physiognomy.

........
The following is a DFT calculation (PBE-GGA) of a relaxed RbCa2I crystal.

Computed properties:
E_form (uncorrected): -0.14 eV/atom
Magnetization: 0.000 Bohr magnetons per cell
Polymorph energy (0 for the lowest one): 0.00 eV per formula unit

extended XYZ file:
```
8
Lattice="-3.5883 3.5883 10.8565 3.5883 -3.5883 10.8565 3.5883 3.5883 -10.8565" Properties=species:S:1:pos:R:3 pbc="T T T"
Rb 0.0000 0.0000 0.0000
Rb 0.0000 3.5883 5.4283
Ca 1.7942 -0.1105 8.1424
Ca 3.4779 1.7942 2.7141
Ca 1.7942 3.6988 -2.7141
Ca 0.1105 1.7942 13.5706
I 3.5883 0.0000 5.4283
I 0.0000 0.0000 10.8565
```

The following is a DFT calculation (PBE-GGA) of a relaxed AlZn2Bi crystal.

Computed properties:
Energy of formation from the pure elements: 251 meV/atom
Magnetization: 0.000 Bohr magnetons per cell
Polymorph energy (0 for the lowest one): 0.27 eV per formula unit

extended XYZ file:
```
4
Lattice="0.0000 3.5039 3.5039 3.5039 0.0000 3.5039 3.5039 3.5039 0.0000" Properties=species:S:1:pos:R:3 pbc="T T T"
Al 0.0000 0.0000 0.0000
Zn 1.7519 1.7519 1.7519
Zn 5.2558 5.2558 5.2558
Bi 3.5039 3.5039 3.5039
```

~~~~~

Here is a relaxed structure of TaBi3I from the Alexandria database. Energies are from PBE.

Offset from the most stable computed form   1.507 eV/atom
Density   8.03 Mg/m³
DOS at the Fermi energy   1.31 states/eV per atom
Energy   -3.172 eV per atom
Formation energy from raw total energies   1837 meV/atom

a b c (Å): 5.7821 5.7821 5.7821
angles (deg): 90.00 90.00 90.00
Space group Pm-3m (No. 221)
Unique sites:
Ta1 0.0000 0.0000 0.0000 [1 per cell]
Bi1 0.0000 0.5000 0.5000 [3 per cell]
I1 0.5000 0.5000 0.5000 [1 per cell]
........

Round face type

Such people are distinguished by their good nature. They are gentle and peaceful. They love delicious food, good company, appreciate beautiful things and comfort. Curiously, women with this face shape are more likely to have a boy. They tend to be excellent housewives, prefer the liberal arts, and are prone to teaching and writing. If, in addition to a round shape, cheekbones are clearly visible on the face, combined with a high bridge of the nose and “burning” eyes, then such a person clearly has organizational skills and can make a real leader from him. Among the shortcomings can be noted cunning and restlessness.

Trapezoid type of face

Different from others with a wide forehead and a non-pointed chin. Often found in artistic, intelligent, sensitive people. Women of this type are able to create a comfortable and cozy atmosphere around them, and men can boast of high authority, although they do not always occupy leading roles. The reason for this is a certain lack of will in protecting their interests, inherent in people with this face shape. However, in the family of a manoften become leaders, they are quite demanding of others and want to control everything.

Elongated rectangular face type

The width of the forehead and chin is about the same. Among such people there are often intellectuals and real talents. They are characterized by sensitivity, balance, prudence and strong organizational skills. It is curious that if the owner of a rectangular face type was not born in the autumn month, then he most often achieves success in the humanitarian field, and otherwise he can be very successful in finance and economics. And for men born in December, it makes sense to try their hand at politics and banking.

European face type
European face type

Square face type

Such a person is most likely straightforward and stern, but at the same time open and frank. He prefers to go ahead to his success and is distinguished by determination and perseverance. Sometimes it may seem that people with a square face are rude and heartless, but this impression is often misleading. Among them, you often come across good psychologists and excellent analysts who are able to successfully extricate themselves from the most difficult troubles in life. Their ability to get along with people deserves deep respect. If you come across a woman with a square face, be careful, as such ladies often have a quarrelsome character. Sometimes they are vengeful and envious, but at the same time they are not strong in intrigues, so there will be no great danger from them.

Triangular face type

Distinguished by a wide forehead, a small nose,protruding cheekbones and deep-set eyes, combined with a slightly protruding chin. These people are inquisitive, talented and often become prominent personalities in the field of art or science. Possible disadvantages are cunning, selfishness and quarrelsomeness. Loy alty and loy alty are by no means a priority for such people, but at the same time, a person with a triangular face shape does not make false promises. If the eyes are set too deep, this is a sign of excessive emotionality. The sharp mind and resourcefulness of people of this type are combined with a good imagination, cheerful disposition and impulsiveness. At the same time, they are often troubled by spiritual emptiness, disappointment and inner sadness. Now, guided by our descriptions, you can try to determine the type of face, both yours and your friends, and check how close all of the above is to the truth. Perhaps you will learn something new for yourself about the people who surround you.
